_Entries_
[1]
{"formula": "BiO2", "functional": "PBE", "state": "relaxed", "cell": [[3.7520, 0.0000, 0.0000], [-1.8760, 3.2493, 0.0000], [0.0000, 0.0000, 7.8064]], "species": ["Bi", "Bi", "O", "O", "O", "O"], "fractional_positions": [[0.3333, 0.6667, 0.2500], [0.6667, 0.3333, 0.7500], [0.3333, 0.6667, 0.6135], [0.3333, 0.6667, 0.8865], [0.6667, 0.3333, 0.1135], [0.6667, 0.3333, 0.3865]], "polymorph_energy_ev_per_atom": 0.484, "total_magnetization_mub_per_cell": 2.003, "space_group": "P6_3/mmc, No. 194"}

***

[2]
{"formula": "Bi2O3", "functional": "PBE", "state": "relaxed", "cell": [[5.5889, 0.0000, 0.0000], [0.0000, 5.5889, 0.0000], [0.0000, 0.0000, 5.5889]], "species": ["Bi", "Bi", "Bi", "Bi", "O", "O", "O", "O", "O", "O"], "fractional_positions": [[0.0000, 0.0000, 0.0000], [0.0000, 0.5000, 0.5000], [0.5000, 0.0000, 0.5000], [0.5000, 0.5000, 0.0000], [0.2500, 0.2500, 0.7500], [0.2500, 0.7500, 0.2500], [0.2500, 0.7500, 0.7500], [0.7500, 0.2500, 0.2500], [0.7500, 0.2500, 0.7500], [0.7500, 0.7500, 0.2500]], "total_magnetization_mub_per_cell": 0.003, "space_group": "Pn-3m, No. 224"}

***

[3]
{"formula": "Bi2O3", "functional": "PBE", "state": "relaxed", "cell": [[7.9162, 0.0000, 0.0000], [0.0000, 7.9162, 0.0000], [0.0000, 0.0000, 5.5922]], "species": ["Bi", "Bi", "Bi", "Bi", "Bi", "Bi", "Bi", "Bi", "O", "O", "O", "O", "O", "O", "O", "O", "O", "O", "O", "O"], "fractional_positions": [[0.0074, 0.2507, 0.2510], [0.2493, 0.4926, 0.7490], [0.2507, 0.9926, 0.7490], [0.4926, 0.7507, 0.2510], [0.5074, 0.2493, 0.2510], [0.7493, 0.0074, 0.7490], [0.7507, 0.5074, 0.7490], [0.9926, 0.7493, 0.2510], [0.0000, 0.0000, 0.0000], [0.0000, 0.5000, 0.5000], [0.2447, 0.2553, 0.0000], [0.2485, 0.2515, 0.5000], [0.2515, 0.7515, 0.5000], [0.2553, 0.7553, 0.0000], [0.5000, 0.0000, 0.5000], [0.5000, 0.5000, 0.0000], [0.7447, 0.2447, 0.0000], [0.7485, 0.2485, 0.5000], [0.7515, 0.7485, 0.5000], [0.7553, 0.7447, 0.0000]], "total_magnetization_mub_per_cell": 0.000, "space_group": "P-4b2, No. 117"}

***

[4]
{"formula": "Bi2O3", "functional": "PBE", "state": "relaxed", "cell": [[4.0769, 2.3538, 3.4459], [-4.0769, 2.3538, 3.4459], [0.0000, -4.7076, 3.4459]], "species": ["Bi", "Bi", "Bi", "Bi", "O", "O", "O", "O", "O", "O"], "fractional_positions": [[0.0000, 0.0000, 0.0000], [0.0369, 0.5249, 0.5249], [0.5249, 0.0369, 0.5249], [0.5249, 0.5249, 0.0369], [0.1607, 0.7654, 0.7654], [0.2687, 0.2687, 0.6595], [0.2687, 0.6595, 0.2687], [0.6595, 0.2687, 0.2687], [0.7654, 0.1607, 0.7654], [0.7654, 0.7654, 0.1607]], "space_group": "R3m, No. 160"}

***

[5]
{"formula": "BiO2", "functional": "PBE", "state": "relaxed", "cell": [[-3.3220, 3.6688, 4.9772], [3.3220, -3.6688, 4.9772], [3.3220, 3.6688, -4.9772]], "species": ["Bi", "Bi", "Bi", "Bi", "O", "O", "O", "O", "O", "O", "O", "O"], "fractional_positions": [[0.0000, 0.0000, 0.0000], [0.5000, 0.0000, 0.0000], [0.5000, 0.0000, 0.5000], [0.5000, 0.5000, 0.5000], [0.2876, 0.2667, 0.4791], [0.2876, 0.8085, 0.0209], [0.2950, 0.2424, 0.0526], [0.3102, 0.7576, 0.5526], [0.6898, 0.2424, 0.4474], [0.7050, 0.7576, 0.9474], [0.7124, 0.1915, 0.9791], [0.7124, 0.7333, 0.5209]], "polymorph_energy_ev_per_atom": 0.186, "total_magnetization_mub_per_cell": 0.000, "space_group": "Imma, No. 74"}

***

[6]
{"formula": "BiO2", "functional": "PBE", "state": "relaxed", "cell": [[6.2760, -2.6408, 0.0000], [6.2760, 2.6408, 0.0000], [-1.7596, 0.0000, 5.3976]], "species": ["Bi", "Bi", "Bi", "Bi", "O", "O", "O", "O", "O", "O", "O", "O"], "fractional_positions": [[0.0000, 0.5000, 0.0000], [0.2291, 0.7709, 0.7500], [0.5000, 0.0000, 0.5000], [0.7709, 0.2291, 0.2500], [0.0067, 0.1787, 0.9783], [0.1787, 0.0067, 0.4783], [0.2636, 0.3851, 0.3499], [0.3851, 0.2636, 0.8499], [0.6149, 0.7364, 0.1501], [0.7364, 0.6149, 0.6501], [0.8213, 0.9933, 0.5217], [0.9933, 0.8213, 0.0217]], "polymorph_energy_ev_per_atom": 0.000, "space_group": "C2/c, No. 15"}

***

[7]

_To do_
The reader should duplicate every line further up that contains the word "BiO2".

_Written answer_
{"formula": "BiO2", "functional": "PBE", "state": "relaxed", "cell": [[3.7520, 0.0000, 0.0000], [-1.8760, 3.2493, 0.0000], [0.0000, 0.0000, 7.8064]], "species": ["Bi", "Bi", "O", "O", "O", "O"], "fractional_positions": [[0.3333, 0.6667, 0.2500], [0.6667, 0.3333, 0.7500], [0.3333, 0.6667, 0.6135], [0.3333, 0.6667, 0.8865], [0.6667, 0.3333, 0.1135], [0.6667, 0.3333, 0.3865]], "polymorph_energy_ev_per_atom": 0.484, "total_magnetization_mub_per_cell": 2.003, "space_group": "P6_3/mmc, No. 194"}
{"formula": "BiO2", "functional": "PBE", "state": "relaxed", "cell": [[-3.3220, 3.6688, 4.9772], [3.3220, -3.6688, 4.9772], [3.3220, 3.6688, -4.9772]], "species": ["Bi", "Bi", "Bi", "Bi", "O", "O", "O", "O", "O", "O", "O", "O"], "fractional_positions": [[0.0000, 0.0000, 0.0000], [0.5000, 0.0000, 0.0000], [0.5000, 0.0000, 0.5000], [0.5000, 0.5000, 0.5000], [0.2876, 0.2667, 0.4791], [0.2876, 0.8085, 0.0209], [0.2950, 0.2424, 0.0526], [0.3102, 0.7576, 0.5526], [0.6898, 0.2424, 0.4474], [0.7050, 0.7576, 0.9474], [0.7124, 0.1915, 0.9791], [0.7124, 0.7333, 0.5209]], "polymorph_energy_ev_per_atom": 0.186, "total_magnetization_mub_per_cell": 0.000, "space_group": "Imma, No. 74"}
{"formula": "BiO2", "functional": "PBE", "state": "relaxed", "cell": [[6.2760, -2.6408, 0.0000], [6.2760, 2.6408, 0.0000], [-1.7596, 0.0000, 5.3976]], "species": ["Bi", "Bi", "Bi", "Bi", "O", "O", "O", "O", "O", "O", "O", "O"], "fractional_positions": [[0.0000, 0.5000, 0.0000], [0.2291, 0.7709, 0.7500], [0.5000, 0.0000, 0.5000], [0.7709, 0.2291, 0.2500], [0.0067, 0.1787, 0.9783], [0.1787, 0.0067, 0.4783], [0.2636, 0.3851, 0.3499], [0.3851, 0.2636, 0.8499], [0.6149, 0.7364, 0.1501], [0.7364, 0.6149, 0.6501], [0.8213, 0.9933, 0.5217], [0.9933, 0.8213, 0.0217]], "polymorph_energy_ev_per_atom": 0.000, "space_group": "C2/c, No. 15"}